[1]
For V3Pb5ClO12, a PBE+U-relaxed structure gives the simulated X-ray powder pattern in this record (Cu Kα (weighted mean of Kα1 and Kα2)).
No peak broadening, texture or thermal motion is included.

Atomic structure:
Unit cell a=10.6196 b=10.6196 c=7.3258 alpha=90.00 beta=90.00 gamma=120.00
Space group P6_3/m (No. 176)
Symmetry-distinct sites (fractional):
V  0.0293  0.4138  0.2500 (multiplicity 6)
Pb  0.0233  0.7619  0.2500 (multiplicity 6)
Pb  0.3333  0.6667  0.5094 (multiplicity 4)
Cl  0.0000  0.0000  0.0000 (multiplicity 2)
O  0.0911  0.3608  0.0612 (multiplicity 12)
O  0.1241  0.6066  0.2500 (multiplicity 6)
O  0.1587  0.6562  0.7500 (multiplicity 6)

Largest 8 diffraction maxima, most intense first, 10° ≤ 2θ ≤ 90°:
h k l, two_theta, d [Å], I/Imax
1 2 1, 28.42, 3.140, 100
1 1 2, 29.63, 3.015, 95
3 0 0, 29.13, 3.066, 54
2 2 2, 42.03, 2.150, 36
1 2 0, 25.63, 3.476, 36
1 1 1, 20.66, 4.299, 33
1 2 3, 45.39, 1.998, 30
4 0 2, 46.64, 1.947, 30

***

[2]
For Li2NiP5O15, a PBE+U-relaxed structure gives the simulated X-ray powder pattern in this record (Cu Kα (weighted mean of Kα1 and Kα2)).
No peak broadening, texture or thermal motion is included.

Atomic structure:
Unit cell a=7.7340 b=11.6943 c=13.5494 alpha=90.00 beta=102.80 gamma=90.00
Space group Cc (No. 9)
Symmetry-distinct sites (fractional):
Li  0.0000  0.0878  0.0000 (multiplicity 4)
Li  0.2084  0.2463  0.4044 (multiplicity 4)
Ni  0.2396  0.3720  0.8415 (multiplicity 4)
P  0.0476  0.1102  0.7929 (multiplicity 4)
P  0.1694  0.3653  0.5936 (multiplicity 4)
P  0.3664  0.3077  0.0859 (multiplicity 4)
P  0.3747  0.0524  0.5659 (multiplicity 4)
P  0.4341  0.0964  0.7873 (multiplicity 4)
O  0.0304  0.4669  0.5630 (multiplicity 4)
O  0.0446  0.2545  0.5741 (multiplicity 4)
O  0.0534  0.4976  0.8215 (multiplicity 4)
O  0.0714  0.2329  0.8278 (multiplicity 4)
O  0.2074  0.0141  0.0668 (multiplicity 4)
O  0.2338  0.0542  0.7827 (multiplicity 4)
O  0.2354  0.2247  0.1132 (multiplicity 4)
O  0.2630  0.3736  0.7016 (multiplicity 4)
O  0.2776  0.3598  0.5152 (multiplicity 4)
O  0.3086  0.3805  0.9923 (multiplicity 4)
O  0.3544  0.1291  0.4761 (multiplicity 4)
O  0.4332  0.1236  0.6685 (multiplicity 4)
O  0.4349  0.3971  0.1767 (multiplicity 4)
O  0.4625  0.4685  0.3557 (multiplicity 4)
O  0.4685  0.2097  0.8412 (multiplicity 4)

Largest 8 diffraction maxima, most intense first, 10° ≤ 2θ ≤ 90°:
h k l, two_theta, d [Å], I/Imax
2 2 -1, 27.70, 3.221, 100
1 1 -1, 14.33, 6.181, 86
0 0 4, 26.99, 3.303, 52
1 3 1, 27.28, 3.269, 33
1 3 0, 25.73, 3.463, 29
1 1 3, 26.71, 3.337, 23
1 1 1, 16.59, 5.343, 22
1 1 0, 13.97, 6.338, 19

***

[3]
For LiMnBO3, a PBE+U-relaxed structure gives the simulated X-ray powder pattern in this record (Cu Kα (weighted mean of Kα1 and Kα2)).
No peak broadening, texture or thermal motion is included.

Atomic structure:
Unit cell a=3.2352 b=9.8007 c=9.5841 alpha=90.00 beta=109.52 gamma=90.00
Space group P2_1/c (No. 14)
Symmetry-distinct sites (fractional):
Li  0.1236  0.2171  0.3734 (multiplicity 4)
Mn  0.4671  0.5528  0.7179 (multiplicity 4)
B  0.1420  0.7088  0.3924 (multiplicity 4)
O  0.0518  0.5925  0.3013 (multiplicity 4)
O  0.0695  0.6650  0.8215 (multiplicity 4)
O  0.2948  0.7011  0.5442 (multiplicity 4)

Largest 8 diffraction maxima, most intense first, 10° ≤ 2θ ≤ 90°:
h k l, two_theta, d [Å], I/Imax
0 0 2, 19.66, 4.517, 100
0 2 2, 26.84, 3.321, 76
1 2 -2, 34.68, 2.587, 59
1 4 1, 50.94, 1.793, 50
0 2 1, 20.62, 4.307, 47
0 1 1, 13.33, 6.642, 45
1 2 -1, 33.18, 2.700, 37
1 1 -2, 30.74, 2.909, 35

***

[4]
For MnOF, a PBE+U-relaxed structure gives the simulated X-ray powder pattern in this record (Cu Kα (weighted mean of Kα1 and Kα2)).
No peak broadening, texture or thermal motion is included.

Atomic structure:
Unit cell a=5.6922 b=6.9069 c=6.9349 alpha=96.54 beta=90.80 gamma=91.34
Space group P1 (No. 1)
Symmetry-distinct sites (fractional):
Mn  0.0000  0.0000  0.0000 (multiplicity 1)
Mn  0.0031  0.5118  0.5208 (multiplicity 1)
Transcribe everything earlier on character by character.
[1]
For V3Pb5ClO12, a PBE+U-relaxed structure gives the simulated X-ray powder pattern in this record (Cu Kα (weighted mean of Kα1 and Kα2)).
No peak broadening, texture or thermal motion is included.

Atomic structure:
Unit cell a=10.6196 b=10.6196 c=7.3258 alpha=90.00 beta=90.00 gamma=120.00
Space group P6_3/m (No. 176)
Symmetry-distinct sites (fractional):
V  0.0293  0.4138  0.2500 (multiplicity 6)
Pb  0.0233  0.7619  0.2500 (multiplicity 6)
Pb  0.3333  0.6667  0.5094 (multiplicity 4)
Cl  0.0000  0.0000  0.0000 (multiplicity 2)
O  0.0911  0.3608  0.0612 (multiplicity 12)
O  0.1241  0.6066  0.2500 (multiplicity 6)
O  0.1587  0.6562  0.7500 (multiplicity 6)

Largest 8 diffraction maxima, most intense first, 10° ≤ 2θ ≤ 90°:
h k l, two_theta, d [Å], I/Imax
1 2 1, 28.42, 3.140, 100
1 1 2, 29.63, 3.015, 95
3 0 0, 29.13, 3.066, 54
2 2 2, 42.03, 2.150, 36
1 2 0, 25.63, 3.476, 36
1 1 1, 20.66, 4.299, 33
1 2 3, 45.39, 1.998, 30
4 0 2, 46.64, 1.947, 30

***

[2]
For Li2NiP5O15, a PBE+U-relaxed structure gives the simulated X-ray powder pattern in this record (Cu Kα (weighted mean of Kα1 and Kα2)).
No peak broadening, texture or thermal motion is included.

Atomic structure:
Unit cell a=7.7340 b=11.6943 c=13.5494 alpha=90.00 beta=102.80 gamma=90.00
Space group Cc (No. 9)
Symmetry-distinct sites (fractional):
Li  0.0000  0.0878  0.0000 (multiplicity 4)
Li  0.2084  0.2463  0.4044 (multiplicity 4)
Ni  0.2396  0.3720  0.8415 (multiplicity 4)
P  0.0476  0.1102  0.7929 (multiplicity 4)
P  0.1694  0.3653  0.5936 (multiplicity 4)
P  0.3664  0.3077  0.0859 (multiplicity 4)
P  0.3747  0.0524  0.5659 (multiplicity 4)
P  0.4341  0.0964  0.7873 (multiplicity 4)
O  0.0304  0.4669  0.5630 (multiplicity 4)
O  0.0446  0.2545  0.5741 (multiplicity 4)
O  0.0534  0.4976  0.8215 (multiplicity 4)
O  0.0714  0.2329  0.8278 (multiplicity 4)
O  0.2074  0.0141  0.0668 (multiplicity 4)
O  0.2338  0.0542  0.7827 (multiplicity 4)
O  0.2354  0.2247  0.1132 (multiplicity 4)
O  0.2630  0.3736  0.7016 (multiplicity 4)
O  0.2776  0.3598  0.5152 (multiplicity 4)
O  0.3086  0.3805  0.9923 (multiplicity 4)
O  0.3544  0.1291  0.4761 (multiplicity 4)
O  0.4332  0.1236  0.6685 (multiplicity 4)
O  0.4349  0.3971  0.1767 (multiplicity 4)
O  0.4625  0.4685  0.3557 (multiplicity 4)
O  0.4685  0.2097  0.8412 (multiplicity 4)

Largest 8 diffraction maxima, most intense first, 10° ≤ 2θ ≤ 90°:
h k l, two_theta, d [Å], I/Imax
2 2 -1, 27.70, 3.221, 100
1 1 -1, 14.33, 6.181, 86
0 0 4, 26.99, 3.303, 52
1 3 1, 27.28, 3.269, 33
1 3 0, 25.73, 3.463, 29
1 1 3, 26.71, 3.337, 23
1 1 1, 16.59, 5.343, 22
1 1 0, 13.97, 6.338, 19

***

[3]
For LiMnBO3, a PBE+U-relaxed structure gives the simulated X-ray powder pattern in this record (Cu Kα (weighted mean of Kα1 and Kα2)).
No peak broadening, texture or thermal motion is included.

Atomic structure:
Unit cell a=3.2352 b=9.8007 c=9.5841 alpha=90.00 beta=109.52 gamma=90.00
Space group P2_1/c (No. 14)
Symmetry-distinct sites (fractional):
Li  0.1236  0.2171  0.3734 (multiplicity 4)
Mn  0.4671  0.5528  0.7179 (multiplicity 4)
B  0.1420  0.7088  0.3924 (multiplicity 4)
O  0.0518  0.5925  0.3013 (multiplicity 4)
O  0.0695  0.6650  0.8215 (multiplicity 4)
O  0.2948  0.7011  0.5442 (multiplicity 4)

Largest 8 diffraction maxima, most intense first, 10° ≤ 2θ ≤ 90°:
h k l, two_theta, d [Å], I/Imax
0 0 2, 19.66, 4.517, 100
0 2 2, 26.84, 3.321, 76
1 2 -2, 34.68, 2.587, 59
1 4 1, 50.94, 1.793, 50
0 2 1, 20.62, 4.307, 47
0 1 1, 13.33, 6.642, 45
1 2 -1, 33.18, 2.700, 37
1 1 -2, 30.74, 2.909, 35

***

[4]
For MnOF, a PBE+U-relaxed structure gives the simulated X-ray powder pattern in this record (Cu Kα (weighted mean of Kα1 and Kα2)).
No peak broadening, texture or thermal motion is included.

Atomic structure:
Unit cell a=5.6922 b=6.9069 c=6.9349 alpha=96.54 beta=90.80 gamma=91.34
Space group P1 (No. 1)
Symmetry-distinct sites (fractional):
Mn  0.0000  0.0000  0.0000 (multiplicity 1)
Mn  0.0031  0.5118  0.5208 (multiplicity 1)